Input =
'''
Record 1
DFT (PBE) results for crystalline Li13Cd2 at its relaxed geometry.

## Properties
* space-group type: R-3m (166)
* size of the total moment: 0.0000 μB/atom
* energy relative to the lowest polymorph listed for this composition: 0.1330 eV/atom
* crystal system: trigonal
* formation energy from the elements: 1.9 eV/f.u.

```
15
Lattice="3.927 2.267 6.777 -3.927 2.267 6.777 0.000 -4.535 6.777" Properties=species:S:1:pos:R:3 pbc="T T T"
Li 0.000 0.000 0.000
Li 0.000 -2.860 4.545
Li -2.477 1.430 4.545
Li 0.000 -1.691 7.323
Li -1.465 0.846 7.323
Li -2.477 -1.430 15.787
Li -1.465 -0.846 13.010
Li 1.465 0.846 7.323
Li 2.477 1.430 4.545
Li 1.465 -0.846 13.010
Li 0.000 1.691 13.010
Li 2.477 -1.430 15.787
Li 0.000 2.860 15.787
Cd 0.000 0.000 4.889
Cd 0.000 0.000 15.444
```

Record 2
DFT (PBE) results for crystalline LiPd5Au2 at its relaxed geometry.

## Properties
* space-group type: Pbam (55)
* size of the total moment: 0.0000 μB/atom
* energy relative to the lowest polymorph listed for this composition: 0.0332 eV/atom
* crystal system: orthorhombic
* formation energy from the elements: -1.5 eV/f.u.

```
16
Lattice="5.640 0.000 0.000 0.000 11.309 0.000 0.000 0.000 3.942" Properties=species:S:1:pos:R:3 pbc="T T T"
Li 0.000 0.000 0.000
Li 2.820 5.654 0.000
Pd 0.000 5.654 0.000
Pd 0.079 2.812 0.000
Pd 1.349 7.088 1.971
Pd 1.472 1.433 1.971
Pd 2.741 8.466 0.000
Pd 2.820 0.000 0.000
Pd 2.899 2.843 0.000
Pd 4.169 9.875 1.971
Pd 4.292 4.221 1.971
Pd 5.561 8.497 0.000
Au 1.322 9.949 1.971
Au 1.498 4.295 1.971
Au 4.142 7.014 1.971
Au 4.318 1.359 1.971
```

Record 3
DFT (PBE) results for crystalline MnWSe4 at its relaxed geometry.

## Properties
* E_form (uncorrected): 753.8 kJ/mol of formula units
* space-group type: F-43m (216)
* size of the total moment: 0.1898 μB/atom
* crystal system: cubic
'''

What to do =
Now quote the whole of the listing further above unchanged.

Here it is =
Record 1
DFT (PBE) results for crystalline Li13Cd2 at its relaxed geometry.

## Properties
* space-group type: R-3m (166)
* size of the total moment: 0.0000 μB/atom
* energy relative to the lowest polymorph listed for this composition: 0.1330 eV/atom
* crystal system: trigonal
* formation energy from the elements: 1.9 eV/f.u.

```
15
Lattice="3.927 2.267 6.777 -3.927 2.267 6.777 0.000 -4.535 6.777" Properties=species:S:1:pos:R:3 pbc="T T T"
Li 0.000 0.000 0.000
Li 0.000 -2.860 4.545
Li -2.477 1.430 4.545
Li 0.000 -1.691 7.323
Li -1.465 0.846 7.323
Li -2.477 -1.430 15.787
Li -1.465 -0.846 13.010
Li 1.465 0.846 7.323
Li 2.477 1.430 4.545
Li 1.465 -0.846 13.010
Li 0.000 1.691 13.010
Li 2.477 -1.430 15.787
Li 0.000 2.860 15.787
Cd 0.000 0.000 4.889
Cd 0.000 0.000 15.444
```

Record 2
DFT (PBE) results for crystalline LiPd5Au2 at its relaxed geometry.

## Properties
* space-group type: Pbam (55)
* size of the total moment: 0.0000 μB/atom
* energy relative to the lowest polymorph listed for this composition: 0.0332 eV/atom
* crystal system: orthorhombic
* formation energy from the elements: -1.5 eV/f.u.

```
16
Lattice="5.640 0.000 0.000 0.000 11.309 0.000 0.000 0.000 3.942" Properties=species:S:1:pos:R:3 pbc="T T T"
Li 0.000 0.000 0.000
Li 2.820 5.654 0.000
Pd 0.000 5.654 0.000
Pd 0.079 2.812 0.000
Pd 1.349 7.088 1.971
Pd 1.472 1.433 1.971
Pd 2.741 8.466 0.000
Pd 2.820 0.000 0.000
Pd 2.899 2.843 0.000
Pd 4.169 9.875 1.971
Pd 4.292 4.221 1.971
Pd 5.561 8.497 0.000
Au 1.322 9.949 1.971
Au 1.498 4.295 1.971
Au 4.142 7.014 1.971
Au 4.318 1.359 1.971
```

Record 3
DFT (PBE) results for crystalline MnWSe4 at its relaxed geometry.

## Properties
* E_form (uncorrected): 753.8 kJ/mol of formula units
* space-group type: F-43m (216)
* size of the total moment: 0.1898 μB/atom
* crystal system: cubic